Social responsibility has a moral justification. This moral justification stems from the fact that when someone takes something from others, he must give something back to them. For moral reasons, this equation must be based on justice for it to continue. A firm takes various inputs (money, materials, people, information, etc.) from society and gives outputs (goods and services) to society through the use of different inputs. The input and output system only works well if it meets social requirements. One of the foundations of business ethics is the theory of utilitarianism. Utilitarianism asserts that when evaluating all options, the option that achieves the greatest net benefit for the lowest net cost is the most ethical option. However, the factors taken into account in this cost-benefit analysis could seriously distort the results one way or the other. Successful companies recognize the need for fair and responsible ethical behavior, not only from a moral standpoint, but also from a business perspective. Investor loyalty: Investors are concerned about the ethics, social responsibility and reputation of the company in which they invest. Investors are increasingly aware that an ethical climate is the basis for efficiency, productivity and profits.

Materials data from another source follow =
........
VASP calculation (GGA-PBEsol) on a relaxed structure of Li3Pt.

Output
total moment: 0.00 μB per cell
formation energy: -1.383 eV/f.u.
D(E_F): 0.37 states/eV/atom
space group: C2/m, No. 12
crystal system: monoclinic
excess energy over the best structure of this formula in the dataset: 0.008 eV per atom

a b c (Å): 2.7769 4.6101 4.6369
angles (deg): 99.26 90.00 107.53
Fractional coordinates of all 4 atoms:
Pt 0.5000 0.0000 0.0000
Li 0.7579 0.5158 0.7761
Li 0.0000 0.0000 0.5000
Li 0.2421 0.4842 0.2239


VASP calculation (GGA-PBEsol) on a relaxed structure of CaMnCo3.

Output
total moment: 0.00 μB per cell
formation energy: 3.658 eV/f.u.
D(E_F): 1.30 states/eV/atom
space group: Pm-3m, No. 221
crystal system: cubic

a b c (Å): 4.2045 4.2045 4.2045
angles (deg): 90.00 90.00 90.00
Fractional coordinates of all 5 atoms:
Co 0.5000 0.0000 0.0000
Co 0.0000 0.5000 0.0000
Mn 0.0000 0.0000 0.0000
Co 0.0000 0.0000 0.5000
Ca 0.5000 0.5000 0.5000


Question: Look up the formation energy of the second one.
Answer: 3.658 eV/f.u.
........

The relationship with all stakeholders, including investors, based on reliability, trust and commitment, leads to lasting loyalty. Companies are not real: they are conceptual and abstract abstractions. The big change that brought us to the giant multinational corporations we see today was the legal decision to treat corporations as their own entities, and we should respect that separation. So where does ethics come in? Two places. Companies need to be ethical when making money from it. There are defined markets for ethical products. People will be attracted to fair trade labels, they will (sometimes) pay more to know the workers who have made their clothes an acceptable life. The basic function of a company is to offer its customers a product at a price lower than or at most equal to the satisfaction of the use of the product. When this relationship is reversed, the product loses all meaning. In general, the cost of production is an important factor in determining the price of the product. Assuming social responsibility increases costs, the price of the product may reverse the above equation and the business may not remain viable in the long run. Because of this phenomenon, Milton Friedman, a well-known economist, observed: The key to business ethics is that workers practice ethics and remember that business is the abstract concept that people who make decisions are made of.

It`s NOT that you`re just “a cog in the system” and so your role is purely profit-oriented because it`s not. Claimed disadvantages for ethical business include: Any business that involves the realization of society`s aspirations creates a better public image. Creating this type of image is a source of satisfaction for those who do business. It also helps to increase the volume of business, both in terms of receiving inputs and supplying products. 1. First, they exaggerate the trend and potential extent of voluntary corporate social responsibility. The perception of social responsibility implies a major impact of the company on society. Therefore, by assuming social responsibility, a company is likely to impose its own values on society, thus replacing social values with commercial values. This has occurred in many cases. This is highly undesirable from a social point of view. There are several fundamental ideas about corporate social responsibility.

Over time, things have changed too much, made new ideas and replaced the classic economic view of profit maximization in the company. Based on this characteristic in the current context, the arguments in favour of social responsibility are as follows: social responsibility is in the long-term personal interest of the company. The existence of a company is based on the existence of various social organizations such as financiers, employees, customers, society as a whole, etc., and not otherwise. Therefore, the economy should continually satisfy all these institutions for their survival. By assuming social responsibility, the company can offer this satisfaction. 2. Second, they want commercial organizations to do something they can`t, which is to ignore society`s demands on them. The second is the people in the company. They have a responsibility for ethics because they are people, real people, not abstract concepts.

The economy is part of society. Society is a system and the economy is one of its subsystems. Each subsystem of a system works to improve the entire system, not just its own. This version also applies to businesses. Therefore, the company is responsible for the company as a whole and the pursuit of the company`s profit cannot prevail over the other motivations of the company. Typically, people misinterpret the concept of business purpose and view social responsibility as a goal that diverts attention from profit or goes against it. This is not the case at all. Economic and social concerns should not be seen as opposing ends of a continuum, as the image of the false vision of social responsibility shows.

Here the page breaks off for records of crystals:
~~~
Ba3YMn2O9: relaxed, GGA+U.

Results
**Raw total energy**: -7.04 eV per atom
**Calculated density**: 5.96 g/cm³

abc: 5.8147 5.8147 7.1772
angles: 90.00 90.00 120.00
Space group P-3m1 (No. 164)
One atom of each set of equivalent atoms:
Ba: 0.0000 0.0000 0.0000 [1 per cell]
Ba: 0.3333 0.6667 0.6795 [2 per cell]
Y: 0.0000 0.0000 0.5000 [1 per cell]
Mn: 0.3333 0.6667 0.1652 [2 per cell]
O: 0.0000 0.5000 0.0000 [3 per cell]
O: 0.1786 0.3573 0.3148 [6 per cell]

----------

First-principles (PBE) data for a relaxed LiPrYTl crystal, as listed in Alexandria.

Unit cell a=5.4004 b=5.4004 c=5.4004 alpha=60.00 beta=60.00 gamma=60.00
Fractional coordinates of all 4 atoms:
Pr  0.2500  0.2500  0.2500
Y  0.7500  0.7500  0.7500
Li  0.0000  0.0000  0.0000
Tl  0.5000  0.5000  0.5000

Calculated values
- space group = F-43m

***

First-principles (PBE) data for a relaxed LiPrTm2 crystal, as listed in Alexandria.

Unit cell a=3.4782 b=3.4782 c=12.2687 alpha=81.85 beta=81.85 gamma=60.00
Fractional coordinates of all 4 atoms:
Tm  0.9124  0.9124  0.2629
Tm  0.0876  0.0876  0.7371
Pr  0.5000  0.5000  0.5000
Li  0.0000  0.0000  0.0000

Calculated values
- distance to the lowest polymorph of the same formula (meV/atom) = 130.4
- space group = R-3m

***

First-principles (PBE) data for a relaxed Li2PrTm crystal, as listed in Alexandria.

Unit cell a=3.7328 b=3.7328 c=7.5897 alpha=90.00 beta=90.00 gamma=90.00
Fractional coordinates of all 4 atoms:
Li  0.0000  0.0000  0.7589
Li  0.0000  0.0000  0.2411
Pr  0.5000  0.5000  0.5000
Tm  0.5000  0.5000  0.0000

Calculated values
- distance to the lowest polymorph of the same formula (meV/atom) = 0.0
- space group = P4/mmm

***

First-principles (PBE) data for a relaxed LiPr2Tm crystal, as listed in Alexandria.

Unit cell a=3.6697 b=3.6697 c=9.1848 alpha=90.00 beta=90.00 gamma=90.00
Fractional coordinates of all 4 atoms:
Pr  0.0000  0.0000  0.2328
Pr  0.0000  0.0000  0.7672
Li  0.5000  0.5000  0.0000
Tm  0.5000  0.5000  0.5000

Calculated values
- distance to the lowest polymorph of the same formula (meV/atom) = 0.0
- space group = P4/mmm

***

First-principles (PBE) data for a relaxed Li2PrTm crystal, as listed in Alexandria.

Unit cell a=5.3156 b=5.3156 c=5.3156 alpha=60.00 beta=60.00 gamma=60.00
Fractional coordinates of all 4 atoms:
Pr  0.5000  0.5000  0.5000
Li  0.2500  0.2500  0.2500
Li  0.7500  0.7500  0.7500
Tm  0.0000  0.0000  0.0000

Calculated values
- distance to the lowest polymorph of the same formula (meV/atom) = 0.8
- space group = Fm-3m

***

First-principles (PBE) data for a relaxed LiPrTm2 crystal, as listed in Alexandria.

Unit cell a=3.5081 b=3.5081 c=11.4218 alpha=81.20 beta=81.20 gamma=60.04
Fractional coordinates of all 4 atoms:
Li  0.6666  0.6666  0.0003
Tm  0.0788  0.0788  0.7632
Tm  0.2544  0.2544  0.2366
Pr  0.5002  0.5002  0.4998

Calculated values
- distance to the lowest polymorph of the same formula (meV/atom) = 54.9
- space group = R3m

***
~~~

The right position is realistically based on corporate responsibility. There are various arguments against social responsibility, although most of them are based on classical economics. These arguments are as follows: Regulators: Regulators view businesses that operate ethically as responsible citizens. The regulator does not always have to monitor the operation of the ethical business. The company makes profits and reputational gains when it acts within the limits of business ethics. In summary, companies that cater to employee needs have lower turnover. More and more companies are recognizing the link between business ethics and financial performance. Companies that demonstrate a “clear commitment to ethical behavior” consistently perform better than companies that don`t. This question has attracted the attention of many thinkers, academics and practitioners. There were arguments and counter-arguments for and against corporate social responsibility. In order to give a balanced view of corporate social responsibility and its role as a corporate objective, it is worth briefly presenting the arguments for and against that have emerged over time. However, it should be noted that any argument for and against social responsibility requires some understanding of the concept, which can vary.

Arguments for and against corporate social responsibility This figure shows that, while there are clearly different economic and social concerns, there is a fairly broad area where economic and social concerns are compatible. It is the activities of companies that fall into this overlapping field that offer a more realistic view of social responsibility. Therefore, the question is not whether companies have a social responsibility; This is the case. Basically, it is a question of identifying this responsibility in general and for individual companies in particular. The implementation of social responsibility poses some operational challenges. Both conceptually and operationally, social responsibility is a confusing term. As a result, managers involved in managing business affairs are not very clear about what is expected of them in the context of social responsibility. As a result, actions ranging from the simple expression of sympathy from the lips to the implementation of concrete programs with several crores are included in social responsibility. Politics and business use evolution.

We have created artificial environments with artificial rewards. Organisms that do not receive enough food, protect themselves and attract a partner die. It has worked remarkably well for a very long time. This is the only effective way to create an efficient economy that can improve the quality of life, alternatives like communism fail on a large scale because they cannot provide this evolutionary simulation. The company has a clear metric – money. If you make a profit, you survive, if you don`t, you die (bankruptcy). Companies can reproduce (merge), they can grow. A trait of every living organism must be passed on through breeding, but business ideas that work still spread. Think about agile programming or the idea of specialization at work, even at a more fundamental level.

Between two parts of the text: crystal structures:
'''
The following is a DFT calculation (PBE) of a relaxed structure of Rb2PaTeI5.

Cell: 8.5090 8.5090 8.5090 Å, 88.31 120.98 120.98°
Positions (direct):
Pa1 0.0000 0.9896 0.9896
I1 0.4947 0.7491 0.7491
I2 0.0000 0.2402 0.2402
I3 0.5053 0.2544 0.2544
I4 0.0000 0.2544 0.7491
I5 0.0000 0.7491 0.2544
Rb1 0.5000 0.2525 0.7525
Rb2 0.5000 0.7525 0.2525
Te1 0.0000 0.7582 0.7582

Summary:
Symmetry: No. 107
Electronic total energy (eV/atom): -3.62
'''

The companies that implemented them had a better chance of success, more of them survived. Today, most surviving companies are implementing them. There is only one responsibility of the company – to use its resources and engage in activities aimed at increasing its profits, as long as it plays by the rules of the game. Customer satisfaction: Customer satisfaction is a crucial factor for a successful business strategy.